<<<
Entry 1:
# NiPH16NO10
Theoretical XRD peak list, λ = 1.5418 Å (Cu Kα). Input: DFT lattice parameters and positions (PBE+U).
Lines closer than 0.1° are merged.

Cell and atoms:
```
NiPH16NO10
1.0
6.9768 0.0000 0.0000
0.0000 6.0746 0.0000
0.0000 0.0000 11.2619
Ni P H N O
2 2 32 2 20
direct
0.0000 0.1446 0.0000
0.5000 0.8554 0.5000
0.0000 0.4886 0.3732
0.5000 0.5114 0.8732
0.0000 0.1278 0.7289
0.0000 0.2565 0.5913
0.0000 0.6938 0.0350
0.0000 0.7902 0.1682
0.1177 0.5225 0.8835
0.1202 0.0112 0.6178
0.1803 0.6528 0.5712
0.1826 0.8635 0.3573
0.2011 0.2990 0.1929
0.2442 0.8868 0.8696
0.2558 0.1132 0.3696
0.2989 0.7010 0.6929
0.3174 0.1365 0.8573
0.3197 0.3472 0.0712
0.3798 0.9888 0.1178
0.3823 0.4775 0.3835
0.5000 0.2098 0.6682
0.5000 0.3062 0.5350
0.5000 0.7435 0.0913
0.5000 0.8722 0.2289
0.6177 0.4775 0.3835
0.6202 0.9888 0.1178
0.6803 0.3472 0.0712
0.6826 0.1365 0.8573
0.7011 0.7010 0.6929
0.7442 0.1132 0.3696
0.7558 0.8868 0.8696
0.7989 0.2990 0.1929
0.8174 0.8635 0.3573
0.8197 0.6528 0.5712
0.8798 0.0112 0.6178
0.8823 0.5225 0.8835
0.0000 0.1061 0.6379
0.5000 0.8939 0.1379
0.0000 0.4708 0.9279
0.0000 0.5059 0.5113
0.0000 0.7243 0.3178
0.0000 0.8314 0.0823
0.1839 0.3662 0.3310
0.2010 0.0435 0.8768
0.2252 0.2433 0.1093
0.2748 0.7567 0.6093
0.2990 0.9565 0.3768
0.3161 0.6338 0.8310
0.5000 0.1686 0.5823
0.5000 0.2757 0.8178
0.5000 0.4941 0.0113
0.5000 0.5292 0.4279
0.6839 0.6338 0.8310
0.7010 0.9565 0.3768
0.7252 0.7567 0.6093
0.7748 0.2433 0.1093
0.7990 0.0435 0.8768
0.8161 0.3662 0.3310
```

Peak list (10 most intense, 2θ = 10–90°, sorted by position)
- d 5.931, 2θ 14.9, I 47, (1 0 1)
- d 5.631, 2θ 15.7, I 64, (0 0 2)
- d 5.346, 2θ 16.6, I 49, (0 1 1)
- d 4.244, 2θ 20.9, I 100, (1 1 1)
- d 4.130, 2θ 21.5, I 24, (0 1 2)
- d 3.306, 2θ 27.0, I 46, (1 0 3)
- d 2.965, 2θ 30.1, I 26, (2 0 2)
- d 2.922, 2θ 30.6, I 26, (2 1 1)
- d 2.665, 2θ 33.6, I 27, (2 1 2)
- d 1.807, 2θ 50.5, I 23, (2 1 5)

---

Entry 2:
# NiPH6NO5
Theoretical XRD peak list, λ = 1.5418 Å (Cu Kα). Input: DFT lattice parameters and positions (PBE+U).
Lines closer than 0.1° are merged.

Cell and atoms:
```
NiPH6NO5
1.0
5.6058 0.0000 0.0000
0.0000 8.9283 0.0000
0.0000 0.0000 4.7627
Ni P H N O
2 2 12 2 10
direct
0.0000 0.0199 0.0000
0.5000 0.9801 0.5000
0.0000 0.8099 0.4277
0.5000 0.1901 0.9277
0.0000 0.5437 0.6875
0.0000 0.5485 0.0501
0.1399 0.1845 0.4191
0.1522 0.4124 0.8763
0.3478 0.5876 0.3763
0.3601 0.8155 0.9191
0.5000 0.4515 0.5501
0.5000 0.4563 0.1875
0.6399 0.8155 0.9191
0.6522 0.5876 0.3763
0.8478 0.4124 0.8763
0.8601 0.1845 0.4191
0.0000 0.4782 0.8721
0.5000 0.5218 0.3721
0.0000 0.1985 0.2955
0.0000 0.6380 0.3722
0.0000 0.8367 0.7447
0.2209 0.8849 0.2786
0.2791 0.1151 0.7786
0.5000 0.1633 0.2447
0.5000 0.3620 0.8722
0.5000 0.8015 0.7955
0.7209 0.1151 0.7786
0.7791 0.8849 0.2786
```

Peak list (10 most intense, 2θ = 10–90°, sorted by position)
- d 4.748, 2θ 18.7, I 21, (1 1 0)
- d 4.202, 2θ 21.1, I 28, (0 1 1)
- d 3.362, 2θ 26.5, I 33, (1 1 1)
- d 2.816, 2θ 31.8, I 100, (1 2 1)
- d 2.803, 2θ 31.9, I 38, (2 0 0)
- d 2.301, 2θ 39.1, I 31, (1 3 1)
- d 2.125, 2θ 42.5, I 15, (2 2 1)
- d 1.901, 2θ 47.8, I 15, (1 4 1)
- d 1.621, 2θ 56.8, I 15, (3 2 1)
- d 1.506, 2θ 61.6, I 15, (2 5 0)

---

Entry 3:
# NiP4H16N2O16
Theoretical XRD peak list, λ = 1.5418 Å (Cu Kα). Input: DFT lattice parameters and positions (PBE+U).
Lines closer than 0.1° are merged.

Cell and atoms:
```
NiP4H16N2O16
1.0
7.1513 0.0000 0.0000
-0.0855 7.3822 0.0000
-2.4728 -1.1951 7.2747
Ni P H N O
1 4 16 2 16
direct
0.0000 0.0000 0.0000
0.1652 0.2485 0.7442
0.2445 0.7185 0.2589
0.7555 0.2815 0.7411
0.8348 0.7515 0.2558
0.1199 0.1969 0.3465
0.1213 0.3317 0.2046
0.2426 0.4814 0.9805
0.3216 0.9001 0.8286
0.3498 0.6714 0.8127
0.4210 0.7909 0.6724
0.4357 0.2258 0.5774
0.4491 0.1780 0.0994
0.5509 0.8220 0.9006
0.5643 0.7742 0.4226
0.5790 0.2091 0.3276
0.6502 0.3286 0.1873
0.6784 0.0999 0.1714
0.7574 0.5186 0.0195
0.8787 0.6683 0.7954
0.8801 0.8031 0.6535
0.4113 0.7963 0.8039
0.5887 0.2037 0.1961
>>>

Say how many lines of the listing earlier on hold the word "sorted", as a bare number, please.

2